Check out Stephen Cope's cool podcast here, Conference of the Birds. The generic range and cross-pollination of the podcast is pretty incredible as you can probably tell from the playlist below:
Playlist, Conference of the Birds, 6-23-09 (pre podcast)
Host: Stephen Cope
Key: Artist/ Title/ Album/ Label Location: Label, Date.
Set One:
Pierre Akendengue/ Salut Aux Combattants De La Liberte/Akendengue - Reveil De L'Afrique/
Gabon/France: NTYE/Melodie, 1995.
Jacques Coursil /Frantz Fanon 1952/Clameurs/ USA: Sunnyside, 2007.
Matébis/ Acid/Matébis/ France: Iris Musique, 1999.
Set Two:
Neville Marcano/ Yaraba Shang/ Shango, Shouter & Obeah: Supernatural Calypso from Trinidad
1934-1940/ USA: Rounder, 2001.
Orchestre Poly-Rythmo De Cotonou/ Nouèssénamè/ Volume ONE "The Vodoun Effect" - Funk
And Sato From Benin's Obscure Labels 1972-1975/ Germany: Analog Africa, 2008.
Balla Et Ses Balladins /Bi Diamana Moo/ The Syliphone Years: 1968-1972/UK/Brazil: Stern's
Africa, 2008.
Les Amazones de Guinée/ Alhamdoulilah/ "Wamato"/ UK/Brazil: Stern's Africa, 2008.
Kwabena Nyama / Okunin Nusu/ Ghana: Musique Vin de Palme/ France: Buda Musique, 2000.
F. Kenya's Guitar Band / Madame Zehae Ala (Just As I Am)/ Electric Highlife: Sessions From The
Bokoor Studios/ Canada/USA: HNH International/ Naxos , 2002.
William Parker/ El Puenteseco/ Long Hidden: The Olmec Series/ USA: Aum Fidelity, 2006.
Myra Melford; Be Bread/ Be Bread/ The Image of Your Body/ USA: Cryptogramophone, 2006.
Set Three:
Craig Harris & the Nation of Imagination/ Dreamtime/ Istanbul/ Turkey: Doublemoon, 1998.
Orchestra Di Piazza Vittorio / Ya Baba Maragia/ Orchestra Di Piazza Vittorio/ Germany: Ausfahrt
MV Gmbh, 2006.
Fawzy Al-Aiedy / Layali/ Le Paris Bagdad/ France: Buda Musique, 1998.
Malouma / Lemra/ Nour/ France: Marabi, 2007.
Youssou N'Dour / Baay Niasse/ Egypt/ USA: Nonesuch, 2004.
Set Four:
Bahauddin Qutbuddin Qawwal & Party/ Khyal Ang Qawwali/ Troubadours Of Allah-Sufi Music
from the Indus Valley/ Germany: Wergo, 1999.
Abdel Hadi Halo & The El Gusto Orchestra Of Algiers / Win Saadi/ Abdel Hadi Halo & The El
Gusto Orchestra Of Algiers/ England: Honest Jon's, 2007.
Dahmane El Harrachi/ Elli Mab'gha Yebghini/ Chaabi: Volume 5/ France: Club du Disque Arabe,
Set Five:
Billy Bang / Ly Ngua O/ Vietnam: reflections/ Canada: Justin Time, 2005.
I Wayan Sadra/ Stay a Maverick / Mana 689: New Music from Indonesia Volume 2: Central Java/
USA: Lyrichord, 1993.
Euis Komariah & Jugala Orchestra/ Bardin/ Jaipongan Java/ Indonesia/UK: Jugala/Globestyle,
Steve Coleman and Five Elements/ Li Bai, Astrology II, Triad Mutations I/ Weaving Symbolics/
-- Attached: calculated crystals --
[1]
Diffraction record for CdCu5Pd8. The X-ray powder pattern is theoretical, not measured: it uses a DFT-relaxed cell (PBE, Alexandria) and Cu Kα (weighted mean of Kα1 and Kα2).

Largest 10 diffraction maxima, by angle, 2θ from 5° to 70°:
29.1°, 3.071 Å, I = 43.5; 37.0°, 2.427 Å, I = 91.8; 37.9°, 2.375 Å, I = 100.0; 38.0°, 2.368 Å, I = 82.0; 41.4°, 2.181 Å, I = 19.7; 44.5°, 2.036 Å, I = 98.9; 44.9°, 2.017 Å, I = 85.2; 45.2°, 2.005 Å, I = 89.2; 60.3°, 1.536 Å, I = 21.2; 62.2°, 1.493 Å, I = 20.1

Crystal structure
```
data_CdCu5Pd8
_cell_length_a 6.5458
_cell_length_b 6.5458
_cell_length_c 6.5458
_cell_angle_alpha 110.21
_cell_angle_beta 110.21
_cell_angle_gamma 108.00
_space_group_name_H-M_alt 'P 1'
_space_group_IT_number 1
_space_group_name_Hall 'P 1'
loop_
_atom_site_label
_atom_site_type_symbol
_atom_site_fract_x
_atom_site_fract_y
_atom_site_fract_z
Cd1 Cd 0.0000 0.0000 0.0000
Cu1 Cu 0.2096 0.0524 0.5896
Cu2 Cu 0.3800 0.7904 0.8428
Cu3 Cu 0.4629 0.6200 0.4104
Cu4 Cu 0.7500 0.2500 0.5000
Cu5 Cu 0.9476 0.5371 0.1572
Pd1 Pd 0.1085 0.3506 0.4344
Pd2 Pd 0.1699 0.4091 0.9021
Pd3 Pd 0.3259 0.8915 0.2421
Pd4 Pd 0.5070 0.2678 0.0979
Pd5 Pd 0.5909 0.4930 0.7608
Pd6 Pd 0.6494 0.0838 0.7579
Pd7 Pd 0.7322 0.8301 0.2392
Pd8 Pd 0.9162 0.6741 0.5656
```

***

[2]
Diffraction record for Dy6Er2Sc3In. The X-ray powder pattern is theoretical, not measured: it uses a DFT-relaxed cell (PBE, Alexandria) and Cu Kα (weighted mean of Kα1 and Kα2).

Largest 10 diffraction maxima, by angle, 2θ from 5° to 70°:
7.9°, 11.140 Å, I = 22.3; 31.9°, 2.806 Å, I = 100.0; 32.1°, 2.785 Å, I = 32.2; 37.1°, 2.426 Å, I = 66.2; 53.3°, 1.720 Å, I = 23.4; 53.6°, 1.710 Å, I = 22.3; 63.4°, 1.467 Å, I = 13.7; 63.6°, 1.464 Å, I = 26.8; 63.9°, 1.457 Å, I = 12.8; 66.7°, 1.403 Å, I = 11.7

Crystal structure
```
data_Dy6Er2Sc3In
_cell_length_a 5.9589
_cell_length_b 5.9589
_cell_length_c 11.3154
_cell_angle_alpha 95.03
_cell_angle_beta 95.03
_cell_angle_gamma 120.00
_space_group_name_H-M_alt 'P 1'
_space_group_IT_number 1
_space_group_name_Hall 'P 1'
loop_
_atom_site_label
_atom_site_type_symbol
_atom_site_fract_x
_atom_site_fract_y
_atom_site_fract_z
Dy1 Dy 0.0856 0.4162 0.7563
Dy2 Dy 0.2448 0.2448 0.2430
Dy3 Dy 0.4162 0.0856 0.7563
Dy4 Dy 0.5838 0.9144 0.2437
Dy5 Dy 0.7552 0.7552 0.7570
Dy6 Dy 0.9144 0.5838 0.2437
Er1 Er 0.3337 0.6663 0.5000
Er2 Er 0.6663 0.3337 0.5000
Sc1 Sc 0.1667 0.8333 0.0000
Sc2 Sc 0.5000 0.5000 0.0000
Sc3 Sc 0.8333 0.1667 0.0000
In1 In 0.0000 0.0000 0.5000
```

----------

Diffraction record for Nd3Sm8Pu. The X-ray powder pattern is simulated, not measured: it uses a structure optimized by DFT (GGA-PBE) and copper Kα.
Intensities are scaled so that the largest is 100.

Atomic structure:
Unit cell a=8.4670 b=8.4670 c=8.4670 alpha=117.48 beta=117.48 gamma=94.42
Sites, in units of the cell vectors:
Nd1 0.0000 0.0000 0.0000
Nd2 0.2500 0.7500 0.5000
Nd3 0.7500 0.2500 0.5000
Sm1 0.1404 0.3893 0.0000
Sm2 0.2407 0.2407 0.5341
Sm3 0.2934 0.7593 0.0000
Sm4 0.3893 0.1404 0.0000
France: Label Bleu, 2006.
Set Six:
Kang Jongsuk & Chang Dokhwa/ Pansori "Simch'ong-Ga" / Traditional Korean Music: Sanjo And
Vocal Music/ Japan: King Record Co., 1995.
Putra Sasak Asli (Cilokaq Modera Pusaka Group)/ Idik Gamak Inak/ Cilokaq Music Of Lombok/
Japan: King Record Co., 1994.
Inserted here: materials data:
┌──
Entry 1:
For Ca2Hf2Ni15, the GGA-PBE geometry in Alexandria gives the theoretical powder diffractogram in this record (copper Kα).
Kinematic intensities with the Lorentz-polarization factor, no thermal factor.

Peak list (12 most intense, 5° ≤ 2θ ≤ 70°, by angle)
- 2θ 13.97, intensity 100
- 2θ 31.02, intensity 22
- 2θ 36.71, intensity 43
- 2θ 37.73, intensity 44
- 2θ 42.64, intensity 66
- 2θ 42.81, intensity 30
- 2θ 43.29, intensity 18
- 2θ 43.55, intensity 31
- 2θ 43.71, intensity 24
- 2θ 45.09, intensity 17
- 2θ 48.12, intensity 87
- 2θ 48.56, intensity 30

Cell and atoms:
abc: 6.438 6.438 6.438
angles: 82.39 82.39 82.39
Sites, in units of the cell vectors:
1 Ca 0.141 0.141 0.141
2 Ca 0.859 0.859 0.859
3 Hf 0.389 0.389 0.389
4 Hf 0.611 0.611 0.611
5 Ni 0.000 0.500 0.500
6 Ni 0.155 0.155 0.655
7 Ni 0.155 0.655 0.155
8 Ni 0.206 0.500 0.794
9 Ni 0.206 0.794 0.500
10 Ni 0.345 0.845 0.845
11 Ni 0.500 0.000 0.500
12 Ni 0.500 0.206 0.794
13 Ni 0.500 0.500 0.000
14 Ni 0.500 0.794 0.206
15 Ni 0.655 0.155 0.155
16 Ni 0.794 0.206 0.500
17 Ni 0.794 0.500 0.206
18 Ni 0.845 0.345 0.845
19 Ni 0.845 0.845 0.345

---

Entry 2:
For PaIr2, the GGA-PBE geometry in Alexandria gives the theoretical powder diffractogram in this record (copper Kα).
Kinematic intensities with the Lorentz-polarization factor, no thermal factor.

Peak list (7 most intense, 5° ≤ 2θ ≤ 70°, by angle)
- 2θ 20.29, intensity 1
- 2θ 33.44, intensity 33
- 2θ 39.43, intensity 100
- 2θ 41.26, intensity 34
- 2θ 48.02, intensity 3
- 2θ 59.78, intensity 13
- 2θ 63.81, intensity 33

Cell and atoms:
abc: 5.359 5.359 5.359
angles: 60.00 60.00 60.00
Sites, in units of the cell vectors:
1 Pa 0.125 0.125 0.125
2 Pa 0.875 0.875 0.875
3 Ir 0.000 0.500 0.500
4 Ir 0.500 0.000 0.500
5 Ir 0.500 0.500 0.000
6 Ir 0.500 0.500 0.500

---

Entry 3:
For Tb3Sb5O12, the GGA-PBE geometry in Alexandria gives the theoretical powder diffractogram in this record (copper Kα).
Kinematic intensities with the Lorentz-polarization factor, no thermal factor.

Peak list (12 most intense, 5° ≤ 2θ ≤ 70°, by angle)
- 2θ 11.46, intensity 16
- 2θ 28.32, intensity 100
- 2θ 30.64, intensity 4
- 2θ 32.81, intensity 35
- 2θ 38.68, intensity 4
- 2θ 42.21, intensity 3
- 2θ 47.09, intensity 43
- 2θ 54.47, intensity 4
- 2θ 55.86, intensity 38
- 2θ 58.58, intensity 9
- 2θ 62.52, intensity 4
- 2θ 68.79, intensity 5

Cell and atoms:
abc: 9.455 9.455 9.455
angles: 109.47 109.47 109.47
Sites, in units of the cell vectors:
1 Tb 0.250 0.500 0.750
2 Tb 0.250 0.750 0.500
3 Tb 0.500 0.250 0.750
4 Tb 0.500 0.750 0.250
5 Tb 0.750 0.250 0.500
6 Tb 0.750 0.500 0.250
7 Sb 0.000 0.000 0.487
8 Sb 0.000 0.283 0.283
9 Sb 0.000 0.487 0.000
10 Sb 0.000 0.717 0.717
11 Sb 0.283 0.000 0.283
12 Sb 0.283 0.283 0.000
13 Sb 0.487 0.000 0.000
14 Sb 0.513 0.513 0.513
15 Sb 0.717 0.000 0.717
16 Sb 0.717 0.717 0.000
17 O 0.000 0.295 0.497
18 O 0.000 0.497 0.295
19 O 0.000 0.522 0.799
20 O 0.000 0.799 0.522
21 O 0.201 0.201 0.723
22 O 0.201 0.723 0.201
23 O 0.202 0.705 0.705
└──
Here the article continues:
Francis Wong / Autumn Moon Reflected On The Peaceful Lake/ Great Wall/ USA: Asian Improv,
Equal Interest/ Rondo For Jenny / Equal Interest/ USA: OmniTone, 1999.
End of Playlist